McQUAY SEASONCON air cooled condensing units are
for outdoor installation, basically designed for use
with direct expansion coils, air handling units, or
water chillers. The SEASONCON air cooled
ing units are factory assembled on a single base,
wired, evacuated, performance tested, given a holding
refrigerant charge, and shipped ready for installation.
Each unit consists of accessible hermetic
CUB-027s 1
GENERAL Commerical equipment of this type is in-
tended for installation by qualified refrigeration mechanics only. As a condition of the warranty the check,
test, and startup procedure must be performed by such
personnel and properly reported on the form provided.
Failure to do so voids the warranty. Arrangement for
service should be made prior to installation, as it is
not included in the warranty or the catalog price. See
warranty terms on Page 3.
INSPECTION When the equipment is received, all
items should be carefully checked against the bill of
lading to be sure all crates and cartons have been
~~~
Entry 1:
Bi6O5F8 | GGA-PBE | optimized geometry

density: 8235 kg/m3
relative energy among the computed polymorphs: 4.68 kJ per mole of atoms
DFT formation energy: -2.274 eV per atom
calculated volume: 300 Å³ per cell

Unit cell a=4.1260 b=5.8376 c=12.4664 alpha=87.91 beta=87.69 gamma=87.75
Space group P1 (No. 1)
Symmetry-distinct sites (fractional):
Bi 0.0000 0.0000 0.0000 x1
Bi 0.0070 0.0301 0.6859 x1
Bi 0.4431 0.4355 0.4859 x1
Bi 0.4764 0.4146 0.1613 x1
Bi 0.5076 0.4469 0.8383 x1
Bi 0.9912 0.9822 0.3148 x1
O 0.0203 0.2316 0.8407 x1
O 0.4625 0.1842 0.3147 x1
O 0.5023 0.2051 0.0050 x1
O 0.5418 0.2728 0.6702 x1
O 0.9863 0.2196 0.1625 x1
F 0.0816 0.7357 0.8502 x1
F 0.3406 0.7682 0.5588 x1
F 0.4378 0.6863 0.3265 x1
F 0.5610 0.7066 0.0009 x1
F 0.6041 0.7993 0.7361 x1
F 0.9172 0.5901 0.4477 x1
F 0.9543 0.1521 0.4939 x1
F 0.9891 0.7380 0.1691 x1



Entry 2:
BaMnS2 | GGA-PBE | optimized geometry

density: 4057 kg/m3
DFT formation energy: -1.586 eV per atom
calculated volume: 420 Å³ per cell

Unit cell a=7.1949 b=4.1601 c=14.0244 alpha=90.00 beta=90.00 gamma=90.00
Space group Pnma (No. 62)
Symmetry-distinct sites (fractional):
Ba 0.2068 0.2500 0.1284 x4
Mn 0.2317 0.7500 0.3639 x4
S 0.0312 0.2500 0.7412 x4
S 0.2377 0.7500 0.9521 x4

=====

[1]
Density functional theory data (GGA-PBE) for a relaxed Mg14ZnCo crystal.

a = 6.2622 Å, b = 6.2622 Å, c = 9.7464 Å
α = 90.00°, β = 90.00°, γ = 120.00°
Closest atoms and distances in Å follow each position.
Space group P-6m2 (No. 187)
One atom of each set of equivalent atoms:
Mg 0.0000 0.0000 0.2475 (multiplicity 2)  12 Mg 3.02-3.13
Mg 0.0171 0.5086 0.2559 (multiplicity 6)  1 Co 2.93, 8 Mg 2.97-3.13, 1 Zn 3.03
Mg 0.3320 0.1660 0.5000 (multiplicity 3)  10 Mg 3.02-3.14, 2 Co 3.13
Mg 0.3335 0.1667 0.0000 (multiplicity 3)  10 Mg 3.02-3.13, 2 Zn 3.13
Zn 0.3333 0.6667 0.0000 (multiplicity 1)  12 Mg 3.03-3.13
Co 0.3333 0.6667 0.5000 (multiplicity 1)  12 Mg 2.93-3.13

Magnetic moment   0.00 μB per atom
Final energy   -29.85 eV for the cell shown
Energy of formation   0.92 eV per formula unit


[2]
Density functional theory data (GGA-PBE) for a relaxed Nd6Si4S17 crystal.

a = 8.9960 Å, b = 10.0119 Å, c = 14.3036 Å
α = 82.01°, β = 87.00°, γ = 89.22°
Closest atoms and distances in Å follow each position.
Space group P-1 (No. 2)
One atom of each set of equivalent atoms:
Nd 0.0169 0.2686 0.4605 (multiplicity 2)  7 S 2.78-3.08
Nd 0.0846 0.5806 0.1656 (multiplicity 2)  7 S 2.88-3.15
Nd 0.1064 0.8846 0.8158 (multiplicity 2)  8 S 2.89-3.19
Nd 0.3326 0.9103 0.3424 (multiplicity 2)  7 S 2.89-3.12
Nd 0.3682 0.5642 0.6764 (multiplicity 2)  7 S 2.83-3.00
Nd 0.4487 0.2383 0.0015 (multiplicity 2)  7 S 2.87-3.04
Si 0.2310 0.9381 0.0991 (multiplicity 2)  4 S 2.10-2.15
Si 0.2493 0.9996 0.5837 (multiplicity 2)  4 S 2.11-2.16
Si 0.2502 0.5599 0.9228 (multiplicity 2)  4 S 2.12-2.15
Si 0.2761 0.5580 0.3939 (multiplicity 2)  4 S 2.11-2.15
S 0.0089 0.8728 0.1154 (multiplicity 2)  1 Si 2.10
S 0.0146 0.9912 0.6232 (multiplicity 2)  1 Si 2.16
~~~
End of the calculated crystals >
received. All units should be carefully inspected for
damage when received. Visible or concealed damage
should be reported immediately to the carrier and a
filed fordamage. The electrical nameplate should
be checked to be sure it agrees with the power supply
ing units are designed for outdoor application. The
evaporator and accessories connected to the unit are
ordinarily installed indoors.
The cabinet is made of heavy reinforced aluminum
panels to give a fairly light but durable unit.
The condensing unit should be located so that all
four sides of the unit have free area for inlet air flow.
The unit should not be located closer than one fan
diameter from a wall or other obstructions. The units
have an
in from the underside of the unit.
ished with suitable holes in the legs and channels for
use by the riggers. See Figure 1, Page 5.
man has free access to the compressor compartment
and to the access panel and the condenser fans and
motors. If the location of the
[1]
{
  "formula": "Be4AlCr",
  "functional": "PBE",
  "state": "optimized geometry",
  "lattice": [[0.000, 3.086, 3.086], [3.086, 0.000, 3.086], [3.086, 3.086, 0.000]],
  "species": ["Be", "Be", "Be", "Be", "Al", "Cr"],
  "fractional_positions": [[0.123, 0.123, 0.123], [0.123, 0.123, 0.630], [0.123, 0.630, 0.123], [0.630, 0.123, 0.123], [0.500, 0.500, 0.500], [0.750, 0.750, 0.750]],
  "polymorph_energy_kj_per_mol_atoms": 2.1,
  "delta_e_f_ev_per_fu": -0.589,
  "total_energy_ha_per_atom": -0.1773,
  "crystal_system": "cubic",
  "sg": "No. 216"
}

***

[2]
{
  "formula": "SmMn8Ni4",
  "functional": "PBE",
  "state": "optimized geometry",
  "lattice": [[-4.230, 4.230, 2.418], [4.230, -4.230, 2.418], [4.230, 4.230, -2.418]],
  "species": ["Sm", "Mn", "Mn", "Mn", "Mn", "Mn", "Mn", "Mn", "Mn", "Ni", "Ni", "Ni", "Ni"],
  "fractional_positions": [[0.000, 0.000, 0.000], [0.000, 0.000, 0.500], [0.000, 0.500, 0.000], [0.261, 0.500, 0.761], [0.500, 0.000, 0.000], [0.500, 0.261, 0.761], [0.500, 0.500, 0.500], [0.500, 0.739, 0.239], [0.739, 0.500, 0.239], [0.000, 0.349, 0.349], [0.000, 0.651, 0.651], [0.349, 0.000, 0.349], [0.651, 0.000, 0.651]],
  "delta_e_f_ev_per_fu": -0.198,
  "total_energy_ha_per_atom": -0.2865,
  "crystal_system": "tetragonal",
  "sg": "No. 139"
}

***

[3]
{
  "formula": "Eu2SiO5",
  "functional": "PBE",
  "state": "optimized geometry",
  "lattice": [[7.397, -3.485, 0.000], [7.397, 3.485, 0.000], [-5.733, 0.000, 9.128]],
  "species": ["Eu", "Eu", "Eu", "Eu", "Eu", "Eu", "Eu", "Eu", "Si", "Si", "Si", "Si", "O", "O", "O", "O", "O", "O", "O", "O", "O", "O", "O", "O", "O", "O", "O", "O", "O", "O", "O", "O"],
  "fractional_positions": [[0.028, 0.261, 0.836], [0.209, 0.714, 0.533], [0.261, 0.028, 0.336], [0.286, 0.791, 0.967], [0.714, 0.209, 0.033], [0.739, 0.972, 0.664], [0.791, 0.286, 0.467], [0.972, 0.739, 0.164], [0.232, 0.407, 0.694], [0.407, 0.232, 0.194], [0.593, 0.768, 0.806], [0.768, 0.593, 0.306], [0.063, 0.348, 0.676], [0.076, 0.891, 0.106], [0.099, 0.660, 0.680], [0.109, 0.924, 0.394], [0.232, 0.368, 0.067], [0.340, 0.901, 0.820], [0.348, 0.063, 0.176], [0.368, 0.232, 0.567], [0.405, 0.411, 0.857], [0.411, 0.405, 0.357], [0.589, 0.595, 0.643], [0.595, 0.589, 0.143], [0.632, 0.768, 0.433], [0.652, 0.937, 0.824], [0.660, 0.099, 0.180], [0.768, 0.632, 0.933], [0.891, 0.076, 0.606], [0.901, 0.340, 0.320], [0.924, 0.109, 0.894], [0.937, 0.652, 0.324]],
  "polymorph_energy_kj_per_mol_atoms": 0.0,
  "delta_e_f_ev_per_fu": -26.246,
  "total_energy_ha_per_atom": -0.3376,
  "crystal_system": "monoclinic",
  "sg": "No. 15"
}

***

[4]
{
  "formula": "CeZn5",
  "functional": "PBE",
  "state": "optimized geometry",
  "lattice": [[5.379, 0.000, 0.000], [-2.689, 4.658, 0.000], [0.000, 0.000, 4.280]],
  "species": ["Ce", "Zn", "Zn", "Zn", "Zn", "Zn"],
  "fractional_positions": [[0.000, 0.000, 0.000], [0.000, 0.500, 0.500], [0.333, 0.667, 0.000], [0.500, 0.000, 0.500], [0.500, 0.500, 0.500], [0.667, 0.333, 0.000]],
**Back to the page**
tion may be transmitted objectionably to the building+
vibration isolators should be used.
The unit must be mounted level. The unit is furn-
The unit location should be such that the service
condenser air discharge, with air taken
line of air cooled condens-
is such that
or(s) (single, dual, or tandem), air cooled condenser
with propeller fans & motors and a completely wired
control panel in a heavy aluminum cabinet. The control panel includes a power terminal block, circuit
breaker protection for all motor phases, starting
ready for operations.
SERVICEABILITY The compressor compartment is
accessible from the top and two sides by simply removing panels. Under no condition should any access
panel be blocked or locked in place by mounting parts
on them or running piping through them.
area has generously sized access doors for checking
the fan motors, belts, and drive. On direct drive units
access is through the fan orifice.
enclosure having a
the first section of the line proper.
that vibration from the unit is not transmitted from the
equipment to the bui
or flexible connectors in the lines will be required.
All refrigeration lines must be checked and secured to
prevent wear or vibration at all operating conditions.
and safety and overload controls, wired and
Air Cooled Condensing Unit
Series Designation
Nominal Capacity (Tons)
Single Compressor
Dual Compressors
Tandem Compressor
On the belt driven fan units, the condenser fan motor
The control panel is protected by a weather proof
REFRIGERANT PIPING The refrigerant piping should
be installed according to standard practice and should
follow latest
the motor-compressors are resilient mounted, it is
necessary that a vibration eliminator be installed between the suction connection on the compressor and
There must be sufficient flexibility in the piping so
at the unit are not stressed. Loops, hairpins,
A filter-drier must be installed in the liquid line to
pick up acids, dirt and moisture that may be left in
the system. A moisture indicating sight glass, located
in the liquid line, must also be installed. A suction
line filter is also recommended to prevent grit or dirt
from getting to the compressor.
The unit is furnished with a liquid line shut off
valve located ot the subcooler outlet.
It is urged that dry nitrogen be run through the connecting refrigerant lines during the brazing operation
to prevent oxidation of
joints are not acceptab e.
CONTROL PANEL All operational and refrigerant
safety controls are located in the control panel. Also
note following section on fuses and circuit breakers.
and hinged door.
guide recommendations. In that
and so that the brazed
interior. Soft soldered